<<<
## Nb4Co2N (PBE)

Data for crystalline Nb4Co2N at its relaxed geometry.

Values from the calculation:
Crystal system: cubic
Electronic total energy, eV/cell: -1059.90

Lattice parameters (Å, degrees): 11.640 11.640 11.640 90.00 90.00 90.00
Space group Fd-3m (No. 227, origin choice 2)
Symmetry-distinct sites (fractional):
Nb 0.000 0.000 0.000 x16
Nb 0.061 0.375 0.875 x48
Co 0.047 0.047 0.203 x32
N 0.000 0.000 0.500 x16
>>>

Could you print the whole of the entries further above without altering anything?

## Nb4Co2N (PBE)

Data for crystalline Nb4Co2N at its relaxed geometry.

Values from the calculation:
Crystal system: cubic
Electronic total energy, eV/cell: -1059.90

Lattice parameters (Å, degrees): 11.640 11.640 11.640 90.00 90.00 90.00
Space group Fd-3m (No. 227, origin choice 2)
Symmetry-distinct sites (fractional):
Nb 0.000 0.000 0.000 x16
Nb 0.061 0.375 0.875 x48
Co 0.047 0.047 0.203 x32
N 0.000 0.000 0.500 x16